Entry 1:
Below is a molecular structure, C22H49N2P3SSeTc, with properties calculated with ωB97M-V with the def2-TZVPD basis set.

Structure (XYZ):
```
79
Properties=species:S:1:pos:R:3:forces:R:3
Tc 0.4659 0.0502 -0.3239 -3.8 0.5 1.6
Se -4.1976 -2.3536 -0.9701 1.0 -0.5 -0.4
S -0.6775 -0.8600 1.5727 -0.4 -0.2 0.1
P -1.1434 1.9326 -0.3771 -0.3 1.2 0.2
P 0.4437 -0.0550 -2.5969 0.7 0.5 -3.3
P 2.1323 1.5524 0.1533 2.1 1.3 -0.1
N -1.1235 0.6428 3.7451 0.8 -0.3 -0.8
N 0.8517 -0.6291 3.8017 -1.5 0.0 -0.9
C -0.2526 -0.2110 3.1447 0.1 0.3 1.8
C 1.2738 -2.4432 -0.4019 1.9 1.8 0.9
C 0.9875 -0.4020 5.2377 0.2 0.2 0.8
C -2.8781 1.3742 -0.3468 -0.1 -0.5 -0.1
C 1.2707 -1.4856 -3.3592 0.2 -0.2 0.2
C 2.0333 -1.2703 -0.2318 1.9 -3.5 0.4
C -1.1974 -0.2070 -3.3563 -0.5 0.0 0.4
C -1.6619 -3.6130 -1.3222 0.6 -0.4 0.4
C -2.5585 0.6326 3.4396 -0.3 -0.1 -0.1
C -0.8004 -4.5797 -3.3739 -0.1 0.0 0.1
C -0.6548 -4.2846 -2.0125 -0.3 0.3 0.5
C -0.6487 1.8141 4.4949 0.2 0.2 0.7
C -2.8317 -3.2183 -1.9889 -0.4 0.0 0.4
C -1.2093 3.2129 -1.6931 0.1 -0.2 0.0
C -2.9860 -3.5334 -3.3472 -0.1 0.2 -0.7
C 1.6897 -1.6976 3.2595 0.5 0.0 -0.3
C 2.2250 3.2139 -0.5949 -0.4 -0.1 -0.2
C -1.9725 -4.1971 -4.0363 -0.4 0.2 0.0
C 3.8414 0.9723 -0.1297 -0.1 -0.3 -0.1
C 1.1897 1.3275 -3.5370 0.0 0.0 0.1
C -1.0871 2.9944 1.1131 0.0 -0.1 0.2
C 2.2468 1.9537 1.9303 -0.5 -0.2 0.2
H 1.5080 3.8957 -0.1156 0.3 -0.2 -0.2
H 0.7609 -2.4177 -3.0838 0.1 0.3 -0.1
H 0.5842 -2.7977 0.3686 0.2 0.1 -0.4
H 1.1635 1.0628 -4.6023 0.0 0.1 0.2
H -1.0180 2.3977 2.0339 0.1 0.2 -0.4
H 3.2995 2.2053 2.1073 -0.3 0.1 0.1
H 1.2514 -1.3673 -4.4484 -0.1 0.0 0.2
H -1.3721 2.6277 4.3735 0.1 -0.2 -0.1
H -4.4232 -1.3052 -1.9693 -0.4 -0.1 -0.3
H -3.0593 1.2027 4.2320 0.1 -0.3 -0.2
H 0.2535 -4.5702 -1.4812 -0.4 -0.2 -0.2
H -3.0228 0.5681 0.3813 0.0 0.2 -0.1
H -2.9470 -0.3930 3.4296 0.1 0.3 0.1
H -1.5573 -3.3789 -0.2614 0.0 -0.2 -0.2
H 2.2332 1.4798 -3.2371 -0.2 0.0 -0.1
H -0.5747 1.5938 5.5686 0.0 0.3 -0.3
H 1.6217 -3.1218 -1.1818 -0.6 0.4 -0.1
H 1.6175 -1.1958 5.6390 -0.2 0.2 0.0
H 4.0338 0.8718 -1.2012 0.1 0.1 0.1
H 2.3908 -1.3093 2.5123 -0.1 -0.1 0.2
H 2.3178 -1.5345 -3.0486 -0.1 -0.1 -0.1
H 0.0152 -0.4393 5.7375 0.2 -0.1 -0.2
H -2.7820 1.1142 2.4780 0.1 -0.1 0.2
H 1.9618 1.1185 2.5802 0.2 0.1 -0.2
H -2.0222 3.5704 1.1385 0.2 -0.1 0.0
H -3.9177 -3.2569 -3.8353 0.2 -0.1 -0.2
H -1.8458 0.6326 -3.0896 0.1 -0.1 -0.1
H 4.0266 0.0006 0.3373 0.2 0.4 0.0
H -2.0900 -4.4233 -5.0951 -0.1 0.0 0.3
H -1.0811 -0.2332 -4.4464 0.1 0.0 0.2
H -0.2710 3.7797 -1.7400 -0.3 -0.1 0.0
H -1.6667 -1.1437 -3.0330 0.1 0.2 -0.1
H 3.2546 3.5589 -0.4051 -0.4 0.0 -0.1
H -2.0214 3.9059 -1.4308 0.2 -0.2 -0.1
H 2.0393 3.1765 -1.6789 0.2 0.1 0.4
H 0.3187 2.1610 4.1093 -0.2 -0.2 0.2
H -0.2540 3.7060 1.0686 -0.2 -0.2 0.0
H 2.2942 -2.1069 4.0719 -0.2 0.0 -0.3
H 4.5109 1.7114 0.3175 0.0 -0.1 -0.2
H 2.9297 -1.1730 -0.8686 -0.6 0.0 0.5
H -3.5109 2.2314 -0.0765 0.1 -0.2 -0.2
H 0.6253 2.2544 -3.3933 0.2 -0.2 0.0
H -3.1747 1.0036 -1.3348 0.0 0.2 0.2
H 1.0747 -2.4923 2.8257 0.1 0.1 0.1
H 1.4732 0.5568 5.4529 -0.1 -0.2 0.0
H -0.0061 -5.1153 -3.9009 -0.3 0.1 0.1
H 2.1154 -0.8293 0.8072 0.0 -0.7 -0.8
H 1.6054 2.8070 2.1690 0.2 -0.1 0.0
H -1.4335 2.7772 -2.6738 0.1 0.2 0.2
```
Positions in Å, forces in eV/Å.

expectation value of S²	3.787
2S+1	4
net charge	+4
E_LUMO (spin up / spin down)	-13.2 / -14.8	eV
Kohn-Sham gap (spin up / spin down)	6.82 / 5.30	eV
Reproduce the whole of the material earlier on without altering anything, please.
Entry 1:
Below is a molecular structure, C22H49N2P3SSeTc, with properties calculated with ωB97M-V with the def2-TZVPD basis set.

Structure (XYZ):
```
79
Properties=species:S:1:pos:R:3:forces:R:3
Tc 0.4659 0.0502 -0.3239 -3.8 0.5 1.6
Se -4.1976 -2.3536 -0.9701 1.0 -0.5 -0.4
S -0.6775 -0.8600 1.5727 -0.4 -0.2 0.1
P -1.1434 1.9326 -0.3771 -0.3 1.2 0.2
P 0.4437 -0.0550 -2.5969 0.7 0.5 -3.3
P 2.1323 1.5524 0.1533 2.1 1.3 -0.1
N -1.1235 0.6428 3.7451 0.8 -0.3 -0.8
N 0.8517 -0.6291 3.8017 -1.5 0.0 -0.9
C -0.2526 -0.2110 3.1447 0.1 0.3 1.8
C 1.2738 -2.4432 -0.4019 1.9 1.8 0.9
C 0.9875 -0.4020 5.2377 0.2 0.2 0.8
C -2.8781 1.3742 -0.3468 -0.1 -0.5 -0.1
C 1.2707 -1.4856 -3.3592 0.2 -0.2 0.2
C 2.0333 -1.2703 -0.2318 1.9 -3.5 0.4
C -1.1974 -0.2070 -3.3563 -0.5 0.0 0.4
C -1.6619 -3.6130 -1.3222 0.6 -0.4 0.4
C -2.5585 0.6326 3.4396 -0.3 -0.1 -0.1
C -0.8004 -4.5797 -3.3739 -0.1 0.0 0.1
C -0.6548 -4.2846 -2.0125 -0.3 0.3 0.5
C -0.6487 1.8141 4.4949 0.2 0.2 0.7
C -2.8317 -3.2183 -1.9889 -0.4 0.0 0.4
C -1.2093 3.2129 -1.6931 0.1 -0.2 0.0
C -2.9860 -3.5334 -3.3472 -0.1 0.2 -0.7
C 1.6897 -1.6976 3.2595 0.5 0.0 -0.3
C 2.2250 3.2139 -0.5949 -0.4 -0.1 -0.2
C -1.9725 -4.1971 -4.0363 -0.4 0.2 0.0
C 3.8414 0.9723 -0.1297 -0.1 -0.3 -0.1
C 1.1897 1.3275 -3.5370 0.0 0.0 0.1
C -1.0871 2.9944 1.1131 0.0 -0.1 0.2
C 2.2468 1.9537 1.9303 -0.5 -0.2 0.2
H 1.5080 3.8957 -0.1156 0.3 -0.2 -0.2
H 0.7609 -2.4177 -3.0838 0.1 0.3 -0.1
H 0.5842 -2.7977 0.3686 0.2 0.1 -0.4
H 1.1635 1.0628 -4.6023 0.0 0.1 0.2
H -1.0180 2.3977 2.0339 0.1 0.2 -0.4
H 3.2995 2.2053 2.1073 -0.3 0.1 0.1
H 1.2514 -1.3673 -4.4484 -0.1 0.0 0.2
H -1.3721 2.6277 4.3735 0.1 -0.2 -0.1
H -4.4232 -1.3052 -1.9693 -0.4 -0.1 -0.3
H -3.0593 1.2027 4.2320 0.1 -0.3 -0.2
H 0.2535 -4.5702 -1.4812 -0.4 -0.2 -0.2
H -3.0228 0.5681 0.3813 0.0 0.2 -0.1
H -2.9470 -0.3930 3.4296 0.1 0.3 0.1
H -1.5573 -3.3789 -0.2614 0.0 -0.2 -0.2
H 2.2332 1.4798 -3.2371 -0.2 0.0 -0.1
H -0.5747 1.5938 5.5686 0.0 0.3 -0.3
H 1.6217 -3.1218 -1.1818 -0.6 0.4 -0.1
H 1.6175 -1.1958 5.6390 -0.2 0.2 0.0
H 4.0338 0.8718 -1.2012 0.1 0.1 0.1
H 2.3908 -1.3093 2.5123 -0.1 -0.1 0.2
H 2.3178 -1.5345 -3.0486 -0.1 -0.1 -0.1
H 0.0152 -0.4393 5.7375 0.2 -0.1 -0.2
H -2.7820 1.1142 2.4780 0.1 -0.1 0.2
H 1.9618 1.1185 2.5802 0.2 0.1 -0.2
H -2.0222 3.5704 1.1385 0.2 -0.1 0.0
H -3.9177 -3.2569 -3.8353 0.2 -0.1 -0.2
H -1.8458 0.6326 -3.0896 0.1 -0.1 -0.1
H 4.0266 0.0006 0.3373 0.2 0.4 0.0
H -2.0900 -4.4233 -5.0951 -0.1 0.0 0.3
H -1.0811 -0.2332 -4.4464 0.1 0.0 0.2
H -0.2710 3.7797 -1.7400 -0.3 -0.1 0.0
H -1.6667 -1.1437 -3.0330 0.1 0.2 -0.1
H 3.2546 3.5589 -0.4051 -0.4 0.0 -0.1
H -2.0214 3.9059 -1.4308 0.2 -0.2 -0.1
H 2.0393 3.1765 -1.6789 0.2 0.1 0.4
H 0.3187 2.1610 4.1093 -0.2 -0.2 0.2
H -0.2540 3.7060 1.0686 -0.2 -0.2 0.0
H 2.2942 -2.1069 4.0719 -0.2 0.0 -0.3
H 4.5109 1.7114 0.3175 0.0 -0.1 -0.2
H 2.9297 -1.1730 -0.8686 -0.6 0.0 0.5
H -3.5109 2.2314 -0.0765 0.1 -0.2 -0.2
H 0.6253 2.2544 -3.3933 0.2 -0.2 0.0
H -3.1747 1.0036 -1.3348 0.0 0.2 0.2
H 1.0747 -2.4923 2.8257 0.1 0.1 0.1
H 1.4732 0.5568 5.4529 -0.1 -0.2 0.0
H -0.0061 -5.1153 -3.9009 -0.3 0.1 0.1
H 2.1154 -0.8293 0.8072 0.0 -0.7 -0.8
H 1.6054 2.8070 2.1690 0.2 -0.1 0.0
H -1.4335 2.7772 -2.6738 0.1 0.2 0.2
```
Positions in Å, forces in eV/Å.

expectation value of S²	3.787
2S+1	4
net charge	+4
E_LUMO (spin up / spin down)	-13.2 / -14.8	eV
Kohn-Sham gap (spin up / spin down)	6.82 / 5.30	eV